********
DFT (PBE) results for a geometry-optimized PrIrPb2O8 structure.

abc: 5.0530 5.0528 6.9217
angles: 90.01 90.01 88.69
Fractional positions:
O 0.8280 0.2030 0.2116
Pb 0.5001 0.5001 0.7571
O 0.1721 0.7971 0.2116
Pr 0.0000 0.0000 0.5000
Pb 0.4999 0.4999 0.2429
Ir 0.0000 0.0000 0.0000
O 0.7113 0.7459 0.0000
O 0.1720 0.7970 0.7884
O 0.8279 0.2029 0.7884
O 0.6604 0.7011 0.5000
O 0.3396 0.2989 0.5000
O 0.2887 0.2541 0.0000

The density comes out at 8.2 g cm⁻³. For the formation energy from raw total energies, the calculation gives -1.254 eV per atom. The electronic total energy comes out at -75.77 eV per cell.

=====

DFT (PBE) results for a geometry-optimized IrPtPbO4 structure.

abc: 5.5060 7.2605 6.2473
angles: 115.48 90.00 112.28
Fractional positions:
Ir 0.5000 0.5000 0.5000
O 0.7484 0.0288 0.7644
O 0.2804 0.0288 0.7644
O 0.6761 0.3521 0.2267
O 0.7196 0.9712 0.2356
Pb 0.8416 0.6831 0.0916
Pt 0.5000 0.0000 0.5000
O 0.6761 0.3521 0.6254
O 0.2516 0.9712 0.2356
Ir 0.0000 0.5000 0.5000
Pt 0.5000 0.0000 0.0000
O 0.3239 0.6479 0.3746
O 0.3239 0.6479 0.7733
Pb 0.1584 0.3169 0.9084

The density comes out at 10.7 g cm⁻³. For the formation energy from raw total energies, the calculation gives -0.494 eV per atom. The electronic total energy comes out at -83.81 eV per cell.

=====
********
Could you reproduce everything further above with every line break kept?
DFT (PBE) results for a geometry-optimized PrIrPb2O8 structure.

abc: 5.0530 5.0528 6.9217
angles: 90.01 90.01 88.69
Fractional positions:
O 0.8280 0.2030 0.2116
Pb 0.5001 0.5001 0.7571
O 0.1721 0.7971 0.2116
Pr 0.0000 0.0000 0.5000
Pb 0.4999 0.4999 0.2429
Ir 0.0000 0.0000 0.0000
O 0.7113 0.7459 0.0000
O 0.1720 0.7970 0.7884
O 0.8279 0.2029 0.7884
O 0.6604 0.7011 0.5000
O 0.3396 0.2989 0.5000
O 0.2887 0.2541 0.0000

The density comes out at 8.2 g cm⁻³. For the formation energy from raw total energies, the calculation gives -1.254 eV per atom. The electronic total energy comes out at -75.77 eV per cell.

=====

DFT (PBE) results for a geometry-optimized IrPtPbO4 structure.

abc: 5.5060 7.2605 6.2473
angles: 115.48 90.00 112.28
Fractional positions:
Ir 0.5000 0.5000 0.5000
O 0.7484 0.0288 0.7644
O 0.2804 0.0288 0.7644
O 0.6761 0.3521 0.2267
O 0.7196 0.9712 0.2356
Pb 0.8416 0.6831 0.0916
Pt 0.5000 0.0000 0.5000
O 0.6761 0.3521 0.6254
O 0.2516 0.9712 0.2356
Ir 0.0000 0.5000 0.5000
Pt 0.5000 0.0000 0.0000
O 0.3239 0.6479 0.3746
O 0.3239 0.6479 0.7733
Pb 0.1584 0.3169 0.9084

The density comes out at 10.7 g cm⁻³. For the formation energy from raw total energies, the calculation gives -0.494 eV per atom. The electronic total energy comes out at -83.81 eV per cell.

=====